Source:
~~~
Record 1
Computed, not measured: a structure of composition C16H14N5O7S2Zr, with the ωB97M-V functional and the def2-TZVPD basis.

Geometry as XYZ:
```
45
Properties=species:S:1:pos:R:3:forces:R:3
Zr 0.35844 0.09670 0.28489 0.14 0.45 0.30
O -3.28466 -0.36153 -1.51692 0.24 -0.04 -0.25
C -2.14371 -0.74752 -1.03604 -0.07 -0.23 0.29
O -1.03917 -0.40511 -1.45693 -0.23 0.12 0.16
C -2.24628 -1.73488 0.11059 0.06 -0.02 0.04
O -1.18722 -1.49975 1.05237 -0.04 0.16 -0.02
C -1.64488 -0.86026 2.29061 -0.16 -0.10 -0.11
C -1.92613 0.62586 2.04451 0.00 0.20 -0.02
O -2.58843 1.27645 2.78910 -0.04 -0.08 0.02
O -1.31504 1.06509 0.94056 0.17 -0.11 -0.02
H -3.14778 0.23345 -2.27801 -0.07 0.00 0.01
H -3.21510 -1.69154 0.60277 -0.02 0.03 -0.05
H -2.09859 -2.72620 -0.32421 -0.03 -0.04 0.08
H -2.52989 -1.36815 2.66679 0.03 -0.05 0.01
H -0.82597 -0.96727 3.00168 -0.02 -0.01 0.01
O 4.83980 -1.10782 -2.78949 -0.01 -0.11 0.05
C 4.52680 0.16594 -3.06197 -0.11 0.10 -0.08
C 5.34628 0.83142 -3.97444 -0.04 0.00 0.05
C 5.07971 2.13542 -4.32208 0.02 0.04 -0.03
C 3.98898 2.81635 -3.77664 0.01 0.00 -0.01
C 3.17741 2.17198 -2.87638 0.00 -0.03 0.06
C 3.42438 0.84057 -2.49480 0.18 -0.02 -0.05
C 2.54072 0.20643 -1.52721 -0.10 0.30 -0.30
O 1.53352 0.96479 -1.05452 -0.11 -0.60 0.29
N 2.70531 -1.02514 -1.16456 0.13 -0.14 -0.13
N 1.76014 -1.55974 -0.24979 0.74 0.26 -0.19
C 2.27787 -2.57586 0.38712 -0.45 -0.10 -0.05
S 1.32729 -3.46617 1.53509 0.00 0.00 0.04
C 2.46074 -4.88323 1.58512 0.03 -0.01 0.02
C 3.86833 -4.34174 1.45235 -0.02 -0.01 0.07
S 3.89130 -3.11518 0.11441 -0.04 0.02 -0.05
H 4.15942 -1.47629 -2.19897 0.00 -0.01 0.07
H 6.18264 0.29159 -4.39618 0.00 -0.01 0.01
H 5.72649 2.63592 -5.03106 -0.01 0.00 0.00
H 3.78754 3.84024 -4.05696 0.00 0.00 0.00
H 2.33420 2.68974 -2.44305 -0.01 -0.01 0.01
H 2.20935 -5.55991 0.77023 -0.02 0.01 0.00
H 2.30935 -5.38976 2.53670 0.01 0.00 0.00
H 4.57426 -5.12880 1.19225 0.00 0.01 -0.02
H 4.19736 -3.85639 2.37015 0.01 0.00 -0.01
N 1.42849 0.40398 2.05083 -0.26 0.18 -0.43
C 1.93574 1.45656 2.36504 -0.04 -0.11 0.22
N 2.48181 2.52265 2.55661 0.13 -0.07 -0.12
C 2.67643 3.40111 3.52049 -0.01 0.06 0.16
N 2.88478 4.19958 4.32336 -0.02 -0.03 -0.04
```
Positions in Å, forces in eV/Å.

Summary:
net charge: +1
total energy: -61549.9760 eV
HOMO-LUMO gap: 7.13 eV
relative energy (zero: lowest compared OMol25 entry of this formula, charge and spin): 11.10 kcal per mole
E_LUMO: -3.917 eV

Record 2
Computed, not measured: the molecule C16H14O6, with the ωB97M-V functional and the def2-TZVPD basis.

Geometry as XYZ:
```
36
Properties=species:S:1:pos:R:3:forces:R:3
O 1.38193 2.83552 -0.72251 0.11 -0.01 0.01
C 1.19946 1.66888 -0.98442 -0.19 0.71 -0.08
O 0.16882 1.27300 -1.73526 -0.26 -0.21 -0.34
C 2.09507 0.58506 -0.52867 0.04 -0.39 0.01
C 3.33793 0.97112 -0.03125 -0.21 -0.03 -0.10
C 4.24756 0.04066 0.42498 0.10 -0.06 0.04
C 3.91192 -1.30304 0.38468 0.00 0.12 0.02
C 2.67888 -1.70887 -0.08966 -0.25 -0.19 -0.11
C 1.74620 -0.78000 -0.55388 0.28 0.25 0.02
O 0.52311 -1.09881 -1.02355 0.24 0.06 -0.02
C -0.02170 -2.38283 -0.80898 -0.26 -0.51 0.38
C -0.37292 -2.62360 0.66748 0.35 -0.02 -0.54
O -1.46123 -1.81682 1.05427 -0.10 0.34 0.27
C -1.26693 -0.46453 1.07931 -0.30 0.32 -0.05
C -0.24753 0.13162 1.81690 -0.05 -0.22 0.04
C -0.15871 1.50738 1.90707 -0.11 -0.04 -0.01
C -1.09431 2.31438 1.27932 -0.03 0.12 -0.01
C -2.10903 1.73622 0.54355 0.01 -0.08 0.08
C -2.20044 0.35111 0.42189 0.19 -0.16 0.21
C -3.23305 -0.24601 -0.45333 -0.08 -0.36 -0.33
O -3.16502 -1.30961 -1.01479 -0.01 -0.02 -0.04
O -4.29596 0.56431 -0.61683 -0.35 0.44 0.11
H -0.36674 2.04291 -1.98375 0.30 0.09 0.22
H 3.56228 2.02688 -0.01689 0.00 0.08 0.00
H 5.20709 0.35322 0.80557 0.09 0.04 0.02
H 4.61376 -2.04783 0.73013 0.05 -0.07 0.03
H 2.44937 -2.76311 -0.10641 -0.05 -0.06 0.00
H -0.95226 -2.37890 -1.38271 0.17 -0.09 0.07
H 0.63850 -3.17424 -1.18184 -0.02 0.06 0.01
H 0.50363 -2.44980 1.30478 -0.13 -0.09 -0.03
H -0.71750 -3.65127 0.79825 0.12 0.06 -0.02
H 0.47635 -0.48373 2.33096 0.04 -0.08 0.03
~~~
Wanted:
The reader should print only the lines further above with the word "in" in them.
Written answer:
Positions in Å, forces in eV/Å.